[Work order]
What is needed: work out how many lines underneath have the word "best" in them; a number is enough.

[Listing]
<<<
Entry from OMol25: a single C2H2 molecule in a non-equilibrium geometry (ωB97M-V/def2-TZVPD).

Geometry as XYZ:
```
4
Properties=species:S:1:pos:R:3:forces:R:3
C -0.621 -0.118 0.022 3.542 0.537 -0.520
C 0.606 -0.096 -0.046 -2.783 0.259 0.682
H -1.644 0.134 -0.064 -0.432 -0.381 0.079
H 1.659 0.080 0.088 -0.328 -0.415 -0.241
```
Positions in Å, forces in eV/Å.

net charge = 0
molecular weight = 26.038 u
HOMO energy = -0.39100 hartree
energy relative to the best compared isomer or geometry (same formula, charge and spin) = 14.46 kJ/mol
orbital gap = 11.98 eV
>>>

[Outcome]
1